It has been sailed on the Danube through the history. Already in the time of the ancient Romans, legions, their weapons and food were transported along the Danube, necessary for the survival of that powerful war machine that ruled this area at that time. Armies, emperors and sultans changed over time, but the Danube was still there, like a long spear sunk from the Black Sea all the way to the heart of old Europe. To the cities that arose along it, the Danube offered the best of itself. It provided them with an abundance of necessary water, an inexhaustible source of food, and ultimately, not least, an advantage over other cities through the exchange of goods and the development of trade. Thus, Vukovar has long had its own port where ships loaded the well-known Slavonian oak and golden fruits of the Slavonian plain, and brought from imperial Vienna and Pest luxury products of local masters.
## Data records that have nothing to do with the text
-- begin --
[1]
C32H37BrCuN9O4 | the ωB97M-V functional and the def2-TZVPD basis

Computed properties:
- charge = +1
- multiplicity = 2
- LUMO level (spin up / spin down) (eV) = -2.1 / -2.1
- highest occupied orbital energy (spin up / spin down) (Eh) = -0.3490 / -0.3831
- ΔE to the lowest compared entry with this formula, charge and spin (kcal per mole) = 2.3
- orbital gap (spin up / spin down) (eV) = 7.45 / 8.36

Last column: Mulliken charge in e.
Geometry (Å):
1 Cu -0.0270 0.0170 0.2298  0.360
2 C 2.9788 0.7671 1.2675  -1.030
3 O 2.2116 -0.2807 0.6538  0.389
4 C 2.8736 -1.4861 0.5230  0.482
5 C 4.2450 -1.6150 0.6458  -0.358
6 C 4.8205 -2.8675 0.4696  -0.540
7 Br 6.6965 -3.0236 0.6113  -0.186
8 C 4.0604 -3.9838 0.2108  -0.963
9 C 2.6738 -3.8586 0.1159  0.946
10 C 2.0967 -2.6055 0.2430  -0.105
11 O 0.7394 -2.3920 0.1270  -0.654
12 C 1.8706 -5.0765 -0.0948  0.167
13 N 2.3299 -6.1670 -0.6293  -0.729
14 C 1.2817 -7.0747 -0.5726  0.433
15 C 1.2233 -8.3994 -1.0049  -0.729
16 C 0.0456 -9.0903 -0.8074  -0.530
17 C -1.0654 -8.4896 -0.1904  -0.500
18 C -1.0281 -7.1773 0.2380  -0.903
19 C 0.1628 -6.4876 0.0276  0.837
20 N 0.5579 -5.1943 0.3131  0.105
21 H 3.7748 1.1023 0.6025  0.349
22 H 3.4080 0.4148 2.2056  0.605
23 H 2.2903 1.5811 1.4523  -0.076
24 H 4.8774 -0.7670 0.8587  0.544
25 H 4.5053 -4.9610 0.0883  0.601
26 H 0.3904 -2.8880 -0.6267  0.346
27 H 2.0810 -8.8617 -1.4766  0.447
28 H -0.0284 -10.1204 -1.1310  0.383
29 H -1.9673 -9.0709 -0.0471  0.403
30 H -1.8836 -6.7173 0.7192  0.397
31 H 0.0477 -4.5113 0.8437  -0.012
32 C -1.4743 -1.9653 2.6568  -1.655
33 C -2.1467 -1.8757 1.3283  1.039
34 N -1.7173 -1.1732 0.3021  0.505
35 C -2.6177 -1.3689 -0.7285  -1.188
36 C -3.5928 -2.2138 -0.3186  -0.478
37 N -3.2915 -2.5245 0.9927  0.291
38 C -4.0972 -3.3888 1.8398  -1.122
39 N -5.4305 -2.8837 1.9764  0.731
40 N -6.4785 -3.6694 1.5930  -0.593
41 N -7.5684 -3.0591 1.8431  -0.574
42 C -7.2666 -1.8302 2.4082  0.049
43 C -8.1050 -0.8028 2.8451  -0.694
44 C -7.5050 0.3238 3.3589  -0.566
45 C -6.1022 0.4397 3.4379  -0.686
46 C -5.2629 -0.5660 3.0100  -0.388
47 C -5.8845 -1.7091 2.4993  1.381
48 H -0.4946 -1.4970 2.5815  0.131
49 H -1.3351 -2.9988 2.9784  0.446
50 H -2.0424 -1.4517 3.4356  0.409
51 H -2.4959 -0.8865 -1.6851  0.608
52 H -4.4694 -2.6021 -0.8129  0.568
53 H -3.6084 -3.4780 2.8067  0.533
54 H -4.1949 -4.3729 1.3913  0.398
55 H -9.1811 -0.8997 2.7768  0.438
56 H -8.1172 1.1448 3.7085  0.375
57 H -5.6737 1.3477 3.8437  0.399
58 H -4.1867 -0.4639 3.0625  0.155
59 C -2.4076 1.9732 -1.5932  -0.690
60 O -2.0780 1.6966 -0.3071  -0.384
61 H -3.3853 1.6405 -1.9070  0.354
62 H -1.8391 2.7164 -2.1388  0.290
63 H -1.2483 2.1656 -0.0913  0.357
64 C 2.4864 2.6400 -1.6917  -1.115
65 N 2.0375 3.6365 -0.7267  0.324
66 C 2.6736 4.9511 -0.7665  -0.705
67 C 1.6211 6.0293 -0.6157  -0.657
68 C 0.8926 5.8002 0.6901  -0.675
69 N 0.4858 4.4002 0.8284  0.274
70 C -0.5009 4.1436 1.8686  -1.100
71 C 0.9900 3.3889 0.0870  0.334
72 O 0.4991 2.2305 0.1574  -0.507
-- stop --
Due to its position as the only port in Croatia on the Danube River, and the natural gravity of a large industrial basin in northern Bosnia, in the recent past the Port of Vukovar (Luka-Vukovar d.o.o.) has grown over time into one of the largest Central European ports. It was recorded that during the 70s and 80s of the XX. century, on average, between 1,200,000 and 1,300,000 metric tons of various goods were transshipped annually from wagons to ships and vice versa, which at that time made the port of Vukovar the largest river port of the former SFRY.
During the Homeland War 1991-1995. the infrastructure and superstructure of the port was completely destroyed and could not perform its activity. In the process of peaceful reintegration of Vukovar into the legal and economic structure of Republic of Croatia, which followed in 1997, a process of capacity renewal was initiated. In the following years, the Government of the Republic of Croatia invested around EUR 5.5 million in financing the project for the purchase of equipment and the reconstruction of existing capacities. Also worth mentioning is the contribution of the Government of the Kingdom of Belgium, whose members of the armed forces in this area ensured peaceful reintegration as part of the UNTAES mission, which donated two used cranes worth around EUR 650,000.
During the last fifty years, in the period that we can consider modern for the concepts of business of the port company in Vukovar, the company has changed its form of organization several times. It operated as an independent company or a subsidiary or business unit of Dunavski Lloyd Sisak, JRB from Belgrade, and since 1989 within VUPIK d.d. Vukovar. On April 19th , 2002, the subsidiary of VUPIK d.d., Port of Vukovar ( Luka-Vukovar d.o.o.) , was founded, which successfully started its independent work and became one of the leading and most successful medium-sized business entities in Vukovar-Srijem County. Due to the preparations for the privatization of VUPIK d.d. at higher levels, it was decided that this company be completely separated from the system of this agro-industrial combine, and on March 2, 2007 registered company under the same name Port of Vukovar (Luka-Vukovar d.o.o.).